Patients who are starting the journey of exploring the option of rhinoplasty do have a lot of expectations and I think it's important when those patients are trying to understand what they want from a plastic surgeon and from their surgery that they go personally to meet with that plastic surgeon and discuss exactly what it is that they would like to have done to their nose. I think it's very helpful for the patient to perhaps bring pictures of noses that they find attractive, to find pictures, pre and postoperative pictures on the Internet that show a nose that is similar to their nose and the result from that nose that they find attractive so that they can communicate those feelings and those desires to their plastic surgeon.

[Attached: molecular data]
/*
# 1
Entry from the OMol25 dataset: a molecular structure, C35H54I2NaO2S3Se (the ωB97M-V functional and the def2-TZVPD basis).

Structure (XYZ):
```
98
Properties=species:S:1:pos:R:3:lowdin_charge:R:1
Na -2.1257 1.1396 -0.4811 -0.03
C 5.6728 -1.0225 -1.8188 -0.08
C 4.3531 -1.7822 -1.6763 -0.56
C 4.1747 -2.6609 -2.9226 -0.06
C 4.4585 -2.6880 -0.4422 -0.06
C 3.1561 -0.8431 -1.5334 -0.19
C 1.8762 -1.3598 -1.3757 -0.10
C 0.7628 -0.5451 -1.2542 -0.40
Se -0.9137 -1.4045 -0.8544 1.10
C -0.7747 -1.4801 1.0707 -0.39
C 0.1996 -2.2927 1.6358 -0.08
C 0.3570 -2.3911 3.0081 -0.19
C -0.5255 -1.6414 3.7929 0.00
C -1.5171 -0.8266 3.2807 -0.09
C -1.6790 -0.7086 1.8525 -0.40
O -2.5901 0.0411 1.3292 -0.23
C -2.4386 -0.0245 4.2026 -0.53
C -3.9045 -0.4046 3.9434 -0.05
C -2.1513 -0.2723 5.6854 -0.08
C -2.2423 1.4754 3.9422 -0.06
C 1.4251 -3.2535 3.6774 -0.56
C 0.7651 -4.2984 4.5882 -0.06
C 2.3514 -2.3674 4.5237 -0.05
C 2.2887 -3.9921 2.6558 -0.07
C 0.8442 0.8794 -1.3666 -0.39
O -0.2094 1.6264 -1.4026 -0.21
C 2.1773 1.4084 -1.4469 -0.09
C 3.2623 0.5443 -1.5307 0.00
C 2.4098 2.9224 -1.4338 -0.53
C 2.0189 3.5184 -2.7921 -0.04
C 3.8840 3.2780 -1.2018 -0.08
C 1.6010 3.5956 -0.3124 -0.06
H 6.4963 -1.7339 -1.9219 0.08
H 5.8735 -0.4006 -0.9440 0.08
H 5.6711 -0.3791 -2.7015 0.08
H 5.0151 -3.3537 -3.0324 0.08
H 4.1149 -2.0418 -3.8202 0.09
H 3.2564 -3.2470 -2.8623 0.08
H 5.3114 -3.3686 -0.5306 0.08
H 3.5583 -3.2909 -0.3166 0.07
H 4.5854 -2.0883 0.4618 0.09
H 1.7237 -2.4331 -1.3299 0.09
H 0.8440 -2.8481 0.9664 0.08
H -0.4219 -1.7096 4.8691 0.09
H -4.0682 -1.4583 4.1845 0.09
H -4.1572 -0.2406 2.8980 0.05
H -4.5685 0.1961 4.5753 0.08
H -2.2916 -1.3219 5.9544 0.08
H -2.8425 0.3227 6.2885 0.08
H -1.1342 0.0195 5.9574 0.08
H -2.4252 1.6867 2.8908 0.03
H -1.2189 1.7760 4.1804 0.09
H -2.9258 2.0604 4.5699 0.08
H 0.1541 -3.8244 5.3583 0.07
H 1.5230 -4.9117 5.0860 0.08
H 0.1157 -4.9550 4.0055 0.09
H 1.7941 -1.8332 5.2952 0.07
H 2.8439 -1.6240 3.8937 0.09
H 3.1205 -2.9709 5.0163 0.08
H 1.6897 -4.6618 2.0347 0.09
H 3.0397 -4.5940 3.1747 0.08
H 2.8100 -3.2946 1.9989 0.06
H 4.2510 0.9749 -1.5931 0.08
H 2.6477 3.0969 -3.5803 0.09
H 2.1460 4.6065 -2.7930 0.08
H 0.9829 3.2943 -3.0249 0.05
H 4.5212 2.9655 -2.0330 0.08
H 4.2667 2.8254 -0.2843 0.09
H 3.9792 4.3634 -1.1140 0.08
H 0.5345 3.5189 -0.5110 0.03
H 1.8893 4.6475 -0.2223 0.08
H 1.7975 3.1033 0.6429 0.10
C -1.7391 2.8537 -3.8716 -0.53
C -1.5216 1.6631 -4.7953 -0.51
S -1.5306 0.0247 -4.0193 0.90
C -3.0607 -0.7165 -4.6540 -0.52
C -3.9793 -1.2328 -3.5489 -0.54
S -4.5151 -0.0437 -2.3043 0.82
C -5.3903 1.2070 -3.2657 -0.54
C -4.5553 2.2896 -3.9631 -0.52
S -3.2605 2.9750 -2.9025 0.84
H -0.9938 2.8072 -3.0755 0.02
H -1.5968 3.7692 -4.4507 0.07
H -2.2152 1.6565 -5.6377 0.06
H -0.5271 1.7905 -5.2288 0.07
H -3.5780 0.0039 -5.2859 0.05
H -2.7988 -1.5620 -5.2944 0.07
H -4.8515 -1.7184 -3.9953 0.07
H -3.4511 -1.9854 -2.9589 0.06
H -6.0389 0.7153 -3.9963 0.08
H -6.0477 1.6856 -2.5372 0.04
H -4.0952 1.9047 -4.8683 0.04
H -5.2314 3.0907 -4.2693 0.07
*/

It's really interesting plastic surgeons have an idea of what they can do to a nose? How they can improve a nose when they see a patient and patients definitely have in their mind an idea of what they find attractive and those two entities, those two people have to have a melding of the mind and it's very difficult I think in verbal communication to do that but having pictures to draw on, to point to people who are recognizable to talk about those noses, helps that melding of the mind and when the plastic surgeon understand what the patient wants based on photographs and what the patient feels like they've communicated adequately to the plastic surgeon again based on visual photographs, I think it's much more likely that the patient ultimately gets what they want from their procedure but also feels that they got what they want from their procedure because they know from the very beginning that the plastic surgeon understood well what they were asking for.

Many patients ask how much time will they need to take off when they have a rhinoplasty and I tell patients it's best to plan to have one full week off of work or school so that they have adequate time to recover. It's important for them to know that at that time, they may still have visual evidence of having had surgery in the form of bruising or swelling, generally by one week the most obvious swelling is gone but bruising still may be present underneath the eyes and that can be something that can be concealed with makeup if that particular patient is used to using makeup for purposes of concealing. I think that it's important for patients to recognize that if they do work from home, they probably would be able to return to work to their daily functions of work sooner so that they may plan to not be able to really adequately respond to the demands of work for the first 72 hours but certainly if it requires only that they are speaking on the phone or interacting with people through their computer on the internet that they may very well be able to return to that sooner.

Part of the reason I tell patients that they have a school environment or a work environment that requires that they are in front of other people, the reason that I tell those patients that they need to plan for a week with the flexibility of extending that for several days, the reason I tell them that is that they are often going to have a splint on the outside of their nose and some patients may have splints on the inside of their nose that affects their voice, affects their ability to breathe through their nose temporarily and clearly many patients don't want to go to work with a splint on the outside of their nose. My patients or patients that undergo rhinoplasty in general are going to have a splint on the outside of their nose and that splint serves a multitude of functions.
The first function that it provides is that it stabilizes bones if bones have been manipulated and relocated in the process of creating the aesthetic result that the patient desired. Again, you can think of it as a cast that's holding those bones in place during the initial healing phase of their postoperative course. Another important purpose that the splint provides is that it reduces selling. It's an external compressive force that doesn't allow the swelling to expand beyond the boundaries of the splint and in doing so during the phase of the healing when they are going to have the most swelling it's keeping that swelling down. That's the second function. Then the third function of the splint is that it reminds patients not to ouch their nose in the immediate postoperative course and it also allows family members and small children to kind of recognize that there's something that needs to be avoided and the interactions between that patient and the people around them.

Rhinoplasty Results and Recovery: What to Expect During Healing

Dr. Adam Weinfeld addresses the most common topics associated with rhinoplasty, including patient expectations and what to expect during recovery.